Brief:
The reader should start at the top of the data further down and give back each line, ending with the one that has "0.893".

Data:
........
Record 1
Starting from DFT lattice parameters and positions (PBE), the XRD peak list of NdSc3Ag4 was calculated for copper Kα.

Principal peaks in the range 5 to 70 degrees two-theta, low angle first:
2θ (°)  d/Å  intensity
25.41  3.506  72
28.38  3.145  101
35.97  2.497  1000
36.24  2.479  516
51.37  1.779  73
52.19  1.753  173
64.48  1.445  142
65.01  1.435  327

Structure:
```
NdSc3Ag4
1.0
9.916 0.000 0.000
0.000 7.114 0.000
0.000 0.000 4.957
Nd Sc Ag
2 6 8
direct
0.000 0.000 0.000
0.500 0.000 0.000
0.000 0.500 0.000
0.250 0.000 0.499
0.250 0.500 0.498
0.500 0.500 0.000
0.750 0.000 0.501
0.750 0.500 0.502
0.000 0.273 0.500
0.000 0.727 0.500
0.250 0.273 0.998
0.250 0.727 0.998
0.500 0.273 0.500
0.500 0.727 0.500
0.750 0.273 0.002
0.750 0.727 0.002
```

Record 2
Starting from DFT lattice parameters and positions (PBE), the XRD peak list of NdScAg was calculated for copper Kα.

Principal peaks in the range 5 to 70 degrees two-theta, low angle first:
2θ (°)  d/Å  intensity
26.93  3.311  1000
29.66  3.012  552
31.21  2.865  992
36.77  2.444  500
38.45  2.341  785
42.10  2.147  491
50.33  1.813  517
58.32  1.582  365

Structure:
```
NdScAg
1.0
4.683 0.000 0.000
0.000 4.683 0.000
0.000 0.000 7.246
Nd Sc Ag
2 2 2
direct
0.250 0.250 0.130
0.750 0.750 0.870
0.250 0.750 0.500
0.750 0.250 0.500
0.250 0.250 0.724
0.750 0.750 0.276
```

Record 3
Starting from DFT lattice parameters and positions (PBE), the XRD peak list of Nd3AgSe5 was calculated for copper Kα.

Principal peaks in the range 5 to 70 degrees two-theta, low angle first:
2θ (°)  d/Å  intensity
25.46  3.498  263
31.16  2.871  1000
31.64  2.828  316
33.44  2.679  392
35.50  2.529  330
40.14  2.247  225
43.92  2.062  160
50.75  1.799  219

Structure:
```
Nd3AgSe5
1.0
-3.999 3.999 7.218
3.999 -3.999 7.218
3.999 3.999 -7.218
Nd Ag Se
6 2 10
direct
0.153 0.653 0.806
0.250 0.250 0.000
0.347 0.153 0.500
0.653 0.847 0.500
0.750 0.750 0.000
0.847 0.347 0.194
0.250 0.750 0.500
0.750 0.250 0.500
0.000 0.000 0.000
0.035 0.183 0.500
0.183 0.683 0.147
0.317 0.465 0.500
0.465 0.965 0.147
0.500 0.500 0.000
0.535 0.035 0.853
0.683 0.535 0.500
0.817 0.317 0.853
0.965 0.817 0.500
```

Record 4
Starting from DFT lattice parameters and positions (PBE), the XRD peak list of Nd2TlAgSe4 was calculated for copper Kα.

Principal peaks in the range 5 to 70 degrees two-theta, low angle first:
2θ (°)  d/Å  intensity
21.56  4.122  355
28.56  3.125  586
30.38  2.942  1000
32.16  2.784  259
35.64  2.519  251
36.87  2.438  337
41.88  2.157  538
42.08  2.148  334

Structure:
```
Nd2TlAgSe4
1.0
2.147 -7.167 0.000
2.147 7.167 0.000
0.000 0.000 15.115
Nd Tl Ag Se
4 2 2 8
direct
0.132 0.868 0.568
0.132 0.868 0.932
0.868 0.132 0.068
0.868 0.132 0.432
0.380 0.620 0.750
0.620 0.380 0.250
0.340 0.660 0.250
0.660 0.340 0.750
0.051 0.949 0.750
0.232 0.768 0.107
0.232 0.768 0.393
0.500 0.500 0.000
0.500 0.500 0.500
0.768 0.232 0.607
0.768 0.232 0.893
0.949 0.051 0.250
```

Record 5
Starting from DFT lattice parameters and positions (PBE), the XRD peak list of Nd5Sm2Ag4 was calculated for copper Kα.

Principal peaks in the range 5 to 70 degrees two-theta, low angle first:
2θ (°)  d/Å  intensity
26.30  3.388  357
30.42  2.938  448
30.70  2.912  670
31.48  2.842  548
33.54  2.672  374
34.66  2.588  1000
37.28  2.412  460
38.24  2.354  648

Structure:
```
Nd5Sm2Ag4
1.0
11.785 -1.737 0.000
11.785 1.737 0.000
-0.762 0.000 7.994
Nd Sm Ag
5 2 4
direct
0.000 0.000 0.000
0.275 0.275 0.301
0.346 0.346 0.922
0.654 0.654 0.078
0.725 0.725 0.699
0.423 0.423 0.320
0.577 0.577 0.680
0.149 0.149 0.426
0.447 0.447 0.695
0.553 0.553 0.305
0.851 0.851 0.574
```
........

Completed:
Record 1
Starting from DFT lattice parameters and positions (PBE), the XRD peak list of NdSc3Ag4 was calculated for copper Kα.

Principal peaks in the range 5 to 70 degrees two-theta, low angle first:
2θ (°)  d/Å  intensity
25.41  3.506  72
28.38  3.145  101
35.97  2.497  1000
36.24  2.479  516
51.37  1.779  73
52.19  1.753  173
64.48  1.445  142
65.01  1.435  327

Structure:
```
NdSc3Ag4
1.0
9.916 0.000 0.000
0.000 7.114 0.000
0.000 0.000 4.957
Nd Sc Ag
2 6 8
direct
0.000 0.000 0.000
0.500 0.000 0.000
0.000 0.500 0.000
0.250 0.000 0.499
0.250 0.500 0.498
0.500 0.500 0.000
0.750 0.000 0.501
0.750 0.500 0.502
0.000 0.273 0.500
0.000 0.727 0.500
0.250 0.273 0.998
0.250 0.727 0.998
0.500 0.273 0.500
0.500 0.727 0.500
0.750 0.273 0.002
0.750 0.727 0.002
```

Record 2
Starting from DFT lattice parameters and positions (PBE), the XRD peak list of NdScAg was calculated for copper Kα.

Principal peaks in the range 5 to 70 degrees two-theta, low angle first:
2θ (°)  d/Å  intensity
26.93  3.311  1000
29.66  3.012  552
31.21  2.865  992
36.77  2.444  500
38.45  2.341  785
42.10  2.147  491
50.33  1.813  517
58.32  1.582  365

Structure:
```
NdScAg
1.0
4.683 0.000 0.000
0.000 4.683 0.000
0.000 0.000 7.246
Nd Sc Ag
2 2 2
direct
0.250 0.250 0.130
0.750 0.750 0.870
0.250 0.750 0.500
0.750 0.250 0.500
0.250 0.250 0.724
0.750 0.750 0.276
```

Record 3
Starting from DFT lattice parameters and positions (PBE), the XRD peak list of Nd3AgSe5 was calculated for copper Kα.

Principal peaks in the range 5 to 70 degrees two-theta, low angle first:
2θ (°)  d/Å  intensity
25.46  3.498  263
31.16  2.871  1000
31.64  2.828  316
33.44  2.679  392
35.50  2.529  330
40.14  2.247  225
43.92  2.062  160
50.75  1.799  219

Structure:
```
Nd3AgSe5
1.0
-3.999 3.999 7.218
3.999 -3.999 7.218
3.999 3.999 -7.218
Nd Ag Se
6 2 10
direct
0.153 0.653 0.806
0.250 0.250 0.000
0.347 0.153 0.500
0.653 0.847 0.500
0.750 0.750 0.000
0.847 0.347 0.194
0.250 0.750 0.500
0.750 0.250 0.500
0.000 0.000 0.000
0.035 0.183 0.500
0.183 0.683 0.147
0.317 0.465 0.500
0.465 0.965 0.147
0.500 0.500 0.000
0.535 0.035 0.853
0.683 0.535 0.500
0.817 0.317 0.853
0.965 0.817 0.500
```

Record 4
Starting from DFT lattice parameters and positions (PBE), the XRD peak list of Nd2TlAgSe4 was calculated for copper Kα.

Principal peaks in the range 5 to 70 degrees two-theta, low angle first:
2θ (°)  d/Å  intensity
21.56  4.122  355
28.56  3.125  586
30.38  2.942  1000
32.16  2.784  259
35.64  2.519  251
36.87  2.438  337
41.88  2.157  538
42.08  2.148  334

Structure:
```
Nd2TlAgSe4
1.0
2.147 -7.167 0.000
2.147 7.167 0.000
0.000 0.000 15.115
Nd Tl Ag Se
4 2 2 8
direct
0.132 0.868 0.568
0.132 0.868 0.932
0.868 0.132 0.068
0.868 0.132 0.432
0.380 0.620 0.750
0.620 0.380 0.250
0.340 0.660 0.250
0.660 0.340 0.750
0.051 0.949 0.750
0.232 0.768 0.107
0.232 0.768 0.393
0.500 0.500 0.000
0.500 0.500 0.500
0.768 0.232 0.607
0.768 0.232 0.893